Starting a Branded Credit Card Program for Consumers

In the ever-evolving landscape of community banking, deciding whether to offer a credit card program is a strategic move to enhance your bank's brand and provide valuable services to your customers. TCM Bank's Consumer Agent Program presents an opportunity to start a branded credit card for your customer base without the challenges of managing the myriad of necessary processes in-house.

Benefits of Starting a Branded Consumer Agent Program with TCM Bank

Risk-Free Branding

Someone pasted calculated molecules at this point.
********
[1]
# C5H26NO9S

9 unconnected molecules or ions with the total composition C5H26NO9S at a distorted geometry (the ωB97M-V functional and the def2-TZVPD basis, the Open Molecules 2025 dataset).

Summary:
total charge: -1
Kohn-Sham gap: 0.260 Ha
energy relative to the best compared isomer or geometry (same formula, charge and spin): 74.6 kcal per mole

Each line ends with the Löwdin charge.
Geometry (Å):
1 C -1.8903 0.1867 0.2672  -0.246
2 N -0.5157 0.5807 0.6025  -0.067
3 C -0.1175 0.6654 1.9859  -0.394
4 C 0.8722 1.8764 2.2024  -0.633
5 S 2.5912 1.2726 2.2061  0.356
6 C 0.6829 -0.5851 2.4322  -0.304
7 O 0.5458 -1.5868 1.7241  -0.070
8 C -1.9845 -0.2668 -1.1832  -0.076
9 H -2.5078 1.0703 0.5002  0.104
10 H -2.1908 -0.6370 0.9181  0.090
11 H 0.1812 0.0566 0.0888  0.102
12 H -1.0027 0.8405 2.6232  0.145
13 H 0.6760 2.6334 1.4464  0.026
14 H 0.6121 2.1640 3.2411  0.051
15 H 1.1869 -0.7618 3.3878  0.093
16 H -2.5762 -1.1597 -1.3531  0.071
17 H -2.2352 0.5931 -1.7891  0.056
18 H -0.9755 -0.4421 -1.5402  0.048
19 H 2.7624 0.4478 -0.5279  0.001
20 H 3.9333 1.5900 -0.7566  0.042
21 O 3.2854 0.9893 -1.1219  -0.095
22 H -1.4926 -2.7832 2.0260  -0.026
23 H -1.3629 -2.5383 3.4907  0.039
24 O -1.9982 -2.8850 2.8499  -0.064
25 H 0.0479 -3.4946 -1.4886  0.016
26 H 1.3526 -3.2218 -1.1795  0.039
27 O 0.8588 -3.2870 -2.0162  -0.088
28 H -1.0094 4.0384 0.1829  0.030
29 H -1.3489 2.7207 0.9318  -0.016
30 O -1.6909 3.5920 0.6887  -0.062
31 H 1.9161 2.3133 -1.3543  0.016
32 H 0.4628 2.1377 -0.9926  0.021
33 O 1.0307 2.6002 -1.6294  -0.069
34 H -1.7223 -3.7164 0.5111  0.055
35 H -0.4412 -2.7552 0.6841  0.000
36 O -0.8269 -3.5149 0.2205  -0.059
37 H -0.2673 0.4002 -3.3863  0.007
38 H 0.0908 1.6732 -2.7668  -0.005
39 O -0.7062 1.2232 -3.1324  -0.116
40 H 2.3127 0.0223 -2.8756  0.029
41 H 1.8680 -1.4773 -2.9544  0.018
42 O 1.5932 -0.5751 -3.1635  -0.065



[2]
# C5H14S

2 unconnected molecules or ions with the total composition C5H14S at a distorted geometry (the ωB97M-V functional and the def2-TZVPD basis, the Open Molecules 2025 dataset).

Summary:
total charge: +1
Kohn-Sham gap (alpha / beta): 0.392 / 0.209 Ha
energy relative to the best compared isomer or geometry (same formula, charge and spin): 54.4 kcal per mole
spin multiplicity: 2

Each line ends with the Mulliken spin population.
Geometry (Å):
1 C 1.5035 1.1617 -3.0159  -0.001
2 C 0.3899 0.2677 -2.8132  0.013
3 H 2.0276 1.5368 -4.0333  0.000
4 H 1.3019 2.1507 -2.8668  0.000
5 H 2.3445 0.7461 -2.4117  0.000
6 H 0.1851 -0.6912 -3.2828  0.000
7 H -0.5767 0.6165 -3.3444  0.000
8 H 0.1773 0.1751 -1.7559  -0.004
9 C 0.1480 -1.2704 0.7995  -0.037
10 C 1.4326 -0.5558 0.8160  0.035
11 C -1.1774 1.1716 1.4501  -0.040
12 S -1.2967 -0.5853 1.6414  0.883
13 H -0.2559 -1.1581 -0.3147  0.085
14 H 0.3571 -2.2843 1.2123  -0.009
15 H 2.2911 -1.2120 0.9456  0.000
16 H 1.3741 0.1965 1.8013  -0.007
17 H -2.2076 1.3687 1.6340  0.008
18 H -0.6162 1.5862 2.2271  0.055
19 H -0.7797 1.5241 0.4733  0.022
20 H 1.3458 0.1599 0.0350  -0.004
********

Launching a branded credit card for consumers through TCM Bank allows your bank to have branded credit cards with your logo without shouldering the associated risks and liabilities. This risk-free approach ensures that your brand remains a symbol of trust and reliability in your community.

Extension of Your Team

/*
a | Computed, not measured: one molecule with the formula C3H5NO4, with wB97M-V/def2-TZVPD.

Bonds (Å) are listed after each position.
Cartesian coordinates (Å):
1 O 1.61797 2.00490 -1.11163  C2 1.233
2 C 0.81950 2.56944 -0.36125  O1 1.233, O3 1.419, H9 1.187
3 O -0.35371 1.93306 0.12094  C2 1.419, C4 1.376
4 C -0.15394 0.57166 0.10203  O3 1.376, O5 1.317, H10 1.098, H11 1.008
5 O -0.88298 -0.13006 0.94481  C4 1.317, C6 1.399
6 C -1.15941 -1.49256 0.78859  O5 1.399, N7 1.357, H12 1.087
7 N -0.68279 -2.49175 0.00336  C6 1.357, O8 1.349
8 O 0.34556 -2.13346 -0.79307  N7 1.349, H13 1.091
9 H 0.76791 3.68644 0.03670  C2 1.187
10 H -0.16329 0.14074 -0.90786  C4 1.098
11 H 0.75608 0.25624 0.40048  C4 1.008
12 H -1.79802 -1.83436 1.59927  C6 1.087
13 H 0.88712 -3.08030 -0.82235  O8 1.091

The HOMO-LUMO gap comes out at 9.860 eV. The LUMO energy is 0.65 eV. The value obtained for the highest occupied orbital energy is -9.2068 eV. Its SMILES is O=COCO/C=N\O.

Just the Mulliken charges please, in e? Sure, here they are: -0.4688, 0.2518, -0.3023, -0.2931, -0.3616, 0.0873, -0.3661, -0.3621, 0.2784, 0.3611, 0.4572, 0.3516, 0.3666

b | Computed, not measured: one molecule with the formula C3H5NO4, with wB97M-V/def2-TZVPD.

Bonds (Å) are listed after each position.
Cartesian coordinates (Å):
1 O 2.39220 -1.55924 -0.04526  C2 1.267
2 C 1.65447 -0.53578 -0.16302  O1 1.267, O3 1.362, C4 1.494
3 O 2.04068 0.76998 -0.11616  C2 1.362, H9 1.076
4 C 0.16467 -0.63597 -0.11458  C2 1.494, C5 1.628, N7 1.287
5 C -0.48711 0.85110 0.00881  C4 1.628, O6 1.438, H10 1.198, H11 1.099
6 O -1.88652 0.68978 -0.27900  C5 1.438, H12 1.025
7 N -0.51022 -1.72690 -0.21539  C4 1.287, O8 1.324
8 O -1.81585 -1.81984 -0.01691  N7 1.324, H13 1.079
9 H 3.09712 0.57939 -0.04280  O3 1.076
10 H -0.26835 1.33497 1.08275  C5 1.198
11 H 0.20311 1.48239 -0.56767  C5 1.099
12 H -2.50201 1.45104 0.02578  O6 1.025
13 H -2.08220 -0.88091 0.44345  O8 1.079

The HOMO-LUMO gap comes out at 9.799 eV. The LUMO energy is 0.16 eV. The value obtained for the highest occupied orbital energy is -9.6387 eV. Its SMILES is O=C(O)/C(CO)=N/O.

Just the Mulliken charges please, in e? Sure, here they are: -0.5660, 0.4427, -0.4593, 0.4637, -0.3334, -0.5939, -0.3483, -0.3381, 0.3883, 0.2637, 0.3411, 0.3300, 0.4093

Quick one: most stable of them? b

a | Computed, not measured: one molecule with the formula C19H23N3O2, with wB97M-V/def2-TZVPD.

Bonds (Å) are listed after each position.
Cartesian coordinates (Å):
1 H 0.97353 -1.45074 2.42665  N2 1.002
2 N 0.64515 -2.04749 1.69170  H1 1.002, C3 1.284
3 C -0.25106 -1.44900 0.99457  N2 1.284, N4 1.418, N14 1.391
4 N -0.55874 -0.06593 1.05498  C3 1.418, C5 1.514, C8 1.362
5 C -0.15873 0.93144 2.12111  N4 1.514, C6 1.517, H26 1.143, H27 1.138
6 C -1.02003 0.68010 3.34492  C5 1.517, C7 1.520, H28 1.098, H29 1.039
7 C -2.39434 1.32888 3.35283  C6 1.520, H30 1.114, H31 1.101, H32 1.031
8 C -1.34904 0.20014 -0.02143  N4 1.362, C9 1.438, C13 1.412
*/
Back to the text.

TCM Bank becomes an extension of your team, ensuring that the high-touch service your customers expect is maintained. The partnership leverages market-leading payment technologies and innovations to elevate your brand, creating a seamless and positive experience for your cardholders.

Dedicated Relationship Manager

The Consumer Agent Credit Card Program offers the support of a dedicated relationship manager who works closely with your bank. This personalized touch ensures effective communication, smooth operations, and a strong collaborative partnership.

**Attached: quantum chemistry results:**
116
Properties=species:S:1:pos:R:3 method="wB97M-V/def2-TZVPD" charge=-1 max_force_ev_per_a=0.853 e_homo_ev="-5.676 / -5.783" s_squared=4.125 e_lumo_ev="0.27 / 2.14" orbital_gap_ev="5.95 / 7.93" e_tot_ha=-10190.7782 relative_energy_kcal_mol=8.24 spin_multiplicity=4
C -0.9370 1.2255 4.6312
C 5.8983 -2.4144 2.3595
C 0.0569 -2.1457 5.1533
H 0.9244 -9.1660 3.7452
H 4.1373 -3.0812 -2.2934
S 2.8848 -1.3624 3.2466
C 2.5737 -6.6235 1.0347
C -0.6974 -3.3079 7.1355
H 2.6433 2.5985 5.0794
C 0.7374 -6.0607 -0.5696
I -2.1527 1.4721 0.2334
H 1.8002 -7.2790 1.4321
C -1.0724 -2.1094 7.7159
C -0.5222 -5.5320 4.6954
H 3.4892 -4.6805 6.7071
H 6.1081 -2.3619 5.7375
H 5.6692 -4.5418 5.0307
C 6.6510 0.2899 5.6174
O 0.8310 1.2805 -0.9512
C 2.6146 -4.1397 6.3449
C 2.0510 -6.3593 5.3358
H -2.7834 0.5079 5.4871
C 0.6693 3.0299 4.3862
H -2.2325 -4.2029 4.7734
H -0.7405 -7.4689 3.8103
H 5.7687 0.3580 6.2572
C 5.4695 -4.3002 3.9865
C 4.3638 -3.6306 0.7400
H 1.8462 -9.2129 5.2490
H 2.1644 -3.6051 7.1826
C 5.8779 -2.8841 3.6813
H 1.7280 4.8812 4.6438
C -3.9055 0.2886 -0.0052
C -2.3543 0.7353 4.5080
H 1.4385 4.4423 2.9605
C 6.1552 -1.0706 2.0936
H 4.3952 -4.4279 3.8116
C -0.1226 -3.3389 5.8663
H -2.9754 1.4912 4.0275
H 7.7151 -3.9068 1.1672
C -0.0719 -6.8063 4.3506
H -1.3822 3.1318 3.7808
H 2.9566 -3.3870 5.6264
H 2.8616 0.6588 6.8639
H 2.6548 -2.3634 -2.9220
H 3.4340 -7.2349 0.7527
C 6.1014 -0.5045 0.6994
H -2.4060 -0.1737 3.9072
H 2.1468 -0.8644 6.3312
H -0.8324 -4.2426 7.6667
C 4.1903 -4.6019 -0.2579
C 2.8338 -4.9081 -0.8063
H 3.2894 -0.0189 5.2930
C 6.4079 -0.6553 4.4722
C 6.7306 -4.1066 0.7607
H -4.2705 0.4979 -1.0031
Ge 2.7906 -2.6693 1.4048
H 0.1141 -6.7671 -0.0312
C -0.6123 2.5113 4.2264
C 1.0051 4.4321 3.9607
C 6.5583 -5.0640 -0.2231
C 6.4081 -0.2107 3.1622
H 7.4105 -5.6154 -0.6014
C -0.8391 -0.9273 7.0363
H 0.6239 -3.9078 -3.1573
C 0.3327 -4.6803 5.3877
C -1.8906 -5.0921 4.2467
C 2.3372 -4.2388 -1.9268
S 2.1255 -1.2817 -0.1618
H -2.6244 -5.8854 4.3968
C 1.2005 -7.2424 4.6758
H 5.1316 -0.0317 0.5211
C 5.2897 -5.3147 -0.7217
H 7.4814 -0.0483 6.2405
O 2.2915 2.9077 0.2309
C 5.6438 -3.3856 1.2521
H 2.6001 -8.6112 3.7780
H 6.2391 -1.2703 -0.0629
C 3.1771 -3.3041 -2.7565
S 1.0479 2.2058 0.2469
H -1.6579 -6.4422 -1.6523
C 1.6359 2.2153 4.9481
C 6.1415 -2.0009 4.7141
C -0.2711 -0.9264 5.7640
H 6.8674 0.2598 0.5648
H 5.1386 -6.0645 -1.4894

Comprehensive Training and Education

TCM Bank provides staff training and education to equip your team with the knowledge and skills needed to effectively promote and manage the consumer credit card program. Empowering your staff contributes to the success of the program and enhances customer satisfaction.

Compliance Support

Dealing with compliance and regulatory requirements can be challenging. TCM Bank manages the compliance of the program ensuring that your branded credit card program adheres to industry standards and regulations.

Real People, Not Robots

The in-house, US-based customer contact center at TCM Bank is staffed by real people, not robots. This commitment to human interaction enhances customer service, providing cardholders with the support and assistance they need.

Branded Credit Card for Consumers

In conclusion, starting a branded credit card program for consumers with TCM Bank's Consumer Agent Credit Card Program is a strategic move to enhance your bank's brand, offer valuable card products, and strengthen customer relationships. The risk-free approach, coupled with dedicated support and innovative features, positions your community bank for success in the competitive financial landscape. Contact TCM Bank and dive into a journey of consumer-centric growth and financial innovation.

Related: Learn more about our wide-range of consumer and business credit card programs.